
SAN JUAN CAPISTRANO : Test Scores Top State, National Averages

Students at all grade levels in the Capistrano Unified School District scored well above state and national averages on a variety of assessment tests last year.

District officials told trustees Monday they believe the results validate the work of teachers and administrators from kindergarten through high school.

“Where all student scores are factored in, we are enjoying continued improvement and a positive growth curve,” said Assistant Supt. Barbara F. Smith.


The tests included aptitude and achievement tests for college placement to standardized tests measuring elementary school pupils’ progress.

“I am extremely proud of what is happening in our school district,” Trustee Annette B. Gude said.

### Inserted here: calculated crystals
=====
# PBE Mg5CdAg2, optimized geometry
data_Mg5CdAg2
_cell_length_a 6.365
_cell_length_b 7.804
_cell_length_c 6.468
_cell_angle_alpha 90.00
_cell_angle_beta 90.00
_cell_angle_gamma 90.00
_space_group_name_H-M_alt 'P 1'
_space_group_IT_number 1
_space_group_name_Hall 'P 1'
loop_
_atom_site_label
_atom_site_fract_x
_atom_site_fract_y
_atom_site_fract_z
_atom_site_occupancy
Mg1 0.000 0.000 0.000 1
Mg2 0.250 0.247 0.746 1
Mg3 0.250 0.253 0.246 1
Mg4 0.250 0.747 0.246 1
Mg5 0.250 0.753 0.746 1
Mg6 0.500 0.500 0.500 1
Mg7 0.750 0.247 0.746 1
Mg8 0.750 0.253 0.246 1
Mg9 0.750 0.747 0.246 1
Mg10 0.750 0.753 0.746 1
Cd1 0.000 0.000 0.493 1
Cd2 0.500 0.500 0.993 1
Ag1 0.000 0.500 0.498 1
Ag2 0.000 0.500 0.993 1
Ag3 0.500 0.000 0.493 1
Ag4 0.500 0.000 0.998 1
# * density of states at the Fermi level: 0.149 states/eV/atom
# * volume: 321.3 Å³ per cell
# * calculated formation energy: -0.1219 eV per atom


# PBE MgCd9Ag2, optimized geometry
data_MgCd9Ag2
_cell_length_a 5.448
_cell_length_b 7.214
_cell_length_c 7.981
_cell_angle_alpha 115.78
_cell_angle_beta 90.82
_cell_angle_gamma 111.38
_space_group_name_H-M_alt 'P 1'
_space_group_IT_number 1
_space_group_name_Hall 'P 1'
loop_
_atom_site_label
_atom_site_fract_x
_atom_site_fract_y
_atom_site_fract_z
_atom_site_occupancy
Mg1 0.000 0.000 0.000 1
Cd1 0.094 0.312 0.817 1
Cd2 0.252 0.670 0.664 1
Cd3 0.335 0.495 0.251 1
Cd4 0.446 0.824 0.077 1
Cd5 0.500 0.000 0.500 1
Cd6 0.554 0.176 0.923 1
Cd7 0.665 0.505 0.749 1
Cd8 0.748 0.330 0.336 1
Cd9 0.906 0.688 0.183 1
Ag1 0.148 0.181 0.418 1
Ag2 0.852 0.819 0.582 1
# * density of states at the Fermi level: 0.303 states/eV/atom
# * volume: 257.4 Å³ per cell
# * calculated formation energy: -0.0132 eV per atom

~~~~~

1.
SrAg6O4 | PBE-GGA | optimized geometry

```
data_SrAg6O4
_cell_length_a 6.531
_cell_length_b 12.462
_cell_length_c 8.959
_cell_angle_alpha 90.00
_cell_angle_beta 90.00
_cell_angle_gamma 90.00
_symmetry_space_group_name_H-M 'P 1'
_symmetry_Int_Tables_number 1
_symmetry_space_group_name_Hall 'P 1'
loop_
_atom_site_label
_atom_site_type_symbol
_atom_site_fract_x
_atom_site_fract_y
_atom_site_fract_z
Ag1 Ag 0.000 0.500 0.500
Ag2 Ag 0.708 0.377 0.240
Ag3 Ag 0.500 0.500 0.500
Ag4 Ag 0.208 0.123 0.740
Ag5 Ag 0.792 0.877 0.260
Ag6 Ag 0.921 0.239 0.962
Ag7 Ag 0.094 0.250 0.250
Ag8 Ag 0.708 0.123 0.260
Ag9 Ag 0.292 0.877 0.740
Ag10 Ag 0.208 0.377 0.760
Ag11 Ag 0.500 0.000 0.000
Ag12 Ag 0.792 0.623 0.240
Ag13 Ag 0.000 0.000 0.000
Ag14 Ag 0.594 0.250 0.750
Ag15 Ag 0.579 0.739 0.538
Ag16 Ag 0.079 0.761 0.038
Ag17 Ag 0.579 0.761 0.962
Ag18 Ag 0.079 0.739 0.462
Ag19 Ag 0.921 0.261 0.538
Ag20 Ag 0.421 0.261 0.462
Ag21 Ag 0.292 0.623 0.760
Ag22 Ag 0.906 0.750 0.750
Ag23 Ag 0.421 0.239 0.038
Ag24 Ag 0.406 0.750 0.250
O1 O 0.452 0.117 0.583
O2 O 0.902 0.397 0.674
O3 O 0.452 0.383 0.917
O4 O 0.598 0.603 0.674
O5 O 0.048 0.883 0.583
O6 O 0.548 0.883 0.417
O7 O 0.048 0.617 0.917
O8 O 0.952 0.117 0.417
O9 O 0.402 0.397 0.326
O10 O 0.402 0.103 0.174
O11 O 0.548 0.617 0.083
=====

District officials said they were especially pleased with results from the Scholastic Aptitude Test, the entrance exam used by hundreds of state and private universities and colleges.


Although a greater percentage of seniors took the SAT in 1993 than in 1992, which often will drive down the districtwide results, the average verbal score increased 10 points and the average math score went up 9 points.

In 1993, 46% of Capistrano Unified’s seniors took the SAT, compared to 44% in 1992. The average 1993 verbal score was 457 and the average math score was 528. The combined score of 985 placed the district 44 points above the state average and 50 points above the national average.

Patrick Levens, coordinator of secondary instructional support, noted that students who reported themselves in the top 10% of their graduating class did exceptionally well.


“Their scores are absolutely phenomenal when you compare them to the state and national data,” he said.

The average combined verbal and math score for the top students was 1193, 107 points higher than their state counterparts and 94 points above the national mean. Their performance also showed a 20-point increase from 1992 and a leap of 60 points from five years before.

== The entry is interrupted by calculated crystals ==
## NbP2HS (PBE)

Data for an optimized crystal structure of NbP2HS.

```
data_NbP2HS
_chemical_formula_sum 'Nb1 P2 H1 S1'
_symmetry_space_group_name_H-M 'P 1'
_symmetry_Int_Tables_number 1
_cell_length_a 4.855
_cell_length_b 4.855
_cell_length_c 4.785
_cell_angle_alpha 90.00
_cell_angle_beta 90.00
_cell_angle_gamma 90.00
loop_
_symmetry_equiv_pos_as_xyz
'x,y,z'
loop_
_atom_site_label
_atom_site_type_symbol
_atom_site_fract_x
_atom_site_fract_y
_atom_site_fract_z
P1 P 0.000 0.500 0.000
P2 P 0.500 0.000 0.000
S1 S 0.000 0.000 0.500
Nb1 Nb 0.000 0.000 0.000
H1 H 0.500 0.500 0.500
```

Summary:
Magnetic moment in μB/f.u.: 0.6

***

## NbP2HS (PBE)

Data for an optimized crystal structure of NbP2HS.

```
data_NbP2HS
_chemical_formula_sum 'Nb1 P2 H1 S1'
_symmetry_space_group_name_H-M 'P 1'
_symmetry_Int_Tables_number 1
_cell_length_a 3.636
_cell_length_b 3.636
_cell_length_c 4.922
_cell_angle_alpha 90.00
_cell_angle_beta 90.00
_cell_angle_gamma 90.00
loop_
_symmetry_equiv_pos_as_xyz
'x,y,z'
loop_
_atom_site_label
_atom_site_type_symbol
_atom_site_fract_x
_atom_site_fract_y
_atom_site_fract_z
H1 H 0.000 0.000 0.000
S1 S 0.000 0.000 0.500
Nb1 Nb 0.500 0.500 0.500
P1 P 0.500 0.000 0.000
P2 P 0.000 0.500 0.000
```

Summary:
Magnetic moment in μB/f.u.: 0.0

***

Number 1: E -5.0058 eV/atom. Number 2: E -5.3260 eV/atom.

~~~~~

Crystalline PaAl4Au12 at its relaxed geometry. Source: Alexandria via LeMat-Bulk, functional GGA-PBE.

Unit cell a=7.712 b=7.712 c=7.712 alpha=109.47 beta=109.47 gamma=109.47
Sites, in units of the cell vectors:
Al (0.000, 0.000, 0.500)
Au (0.184, 0.845, 0.340)
Al (0.500, 0.500, 0.500)
Al (0.000, 0.500, 0.000)
Au (0.816, 0.155, 0.660)
Au (0.155, 0.340, 0.495)
Au (0.660, 0.505, 0.845)
Au (0.505, 0.845, 0.660)
Pa (0.000, 0.000, 0.000)
Au (0.340, 0.184, 0.845)
Au (0.845, 0.660, 0.505)
Au (0.155, 0.660, 0.816)
Au (0.660, 0.816, 0.155)
Au (0.845, 0.340, 0.184)
Au (0.340, 0.495, 0.155)
Au (0.495, 0.155, 0.340)
Al (0.500, 0.000, 0.000)

total energy	-65.77	eV/cell
density	12.7	g/cm3
D(E_F)	8.8	states/eV/f.u.
SG	Im-3

Crystalline Pa2Al3Au5 at its relaxed geometry. Source: Alexandria via LeMat-Bulk, functional GGA-PBE.

Unit cell a=6.111 b=8.667 c=8.667 alpha=78.45 beta=69.35 gamma=69.35
Sites, in units of the cell vectors:
Pa (0.633, 0.138, 0.596)
Au (0.100, 0.061, 0.740)
Al (0.134, 0.248, 0.485)
Au (0.600, 0.740, 0.061)
Au (0.750, 0.500, 0.500)
Au (0.400, 0.260, 0.939)
Au (0.250, 0.500, 0.500)
Au (0.900, 0.939, 0.260)
Al (0.366, 0.515, 0.752)
Al (0.750, 0.000, 0.000)
Pa (0.867, 0.404, 0.862)
Pa (0.367, 0.862, 0.404)
Au (0.484, 0.766, 0.766)
Al (0.634, 0.485, 0.248)
Pa (0.133, 0.596, 0.138)
Au (0.516, 0.234, 0.234)
Al (0.250, 0.000, 0.000)
Au (0.016, 0.234, 0.234)
Al (0.866, 0.752, 0.515)
Au (0.984, 0.766, 0.766)

total energy	-101.34	eV/cell
density	12.7	g/cm3
D(E_F)	9.7	states/eV/f.u.
SG	Ibam

Crystalline PaAl2Au6 at its relaxed geometry. Source: Alexandria via LeMat-Bulk, functional GGA-PBE.

Seniors performed similarly on Advanced Placement tests, college board achievement tests and the American College Testing Program tests. The composite ACT score in 1993 dropped to 23.3 from 23.6 in 1992 because of declines in math and reading, but stayed ahead of the state and national scores of 21.3 and 20.7, respectively. Twenty-five more students, 269, took the test in 1993.

High school and middle school students also placed above average in the Golden State Examinations administered by the California Department of Education. The exams tested students’ abilities in first-year algebra, geometry, U.S. history, economics, biology and chemistry. Whereas 37% of students statewide received special recognition for strong performance on the tests, 58% of Capistrano Unified students achieved the honor.

Finally, in the California Achievement Test that measures basic skills of young pupils, 95% of the district’s elementary schools recorded averages at or above grade level.
